Here is a piece I wrote as a requirement for a course I took at school. I’m not defending anything, I’m merely pointing out the obvious.
Hope you like!
And just when you think it was done... how about KISS saving Christmas?
Happy KISSmas!
Something else worth noting, ESPECIALLY for those in the LA Area... the Revolver Golden Gods Awards, a new ceremony to honour hard rock and metal acts, will be taking place on April 7th at the Nokia Club in LA. Special guests include Killswitch, All That Remains, and (of course!) Megadeth!! check out the Megasite for more info... Tickets will run you between 31.50 and 71.50 + applicable charges and are available through Ticketmaster.
Stay tun'd!!
(Misplaced quantum chemistry results)
........
This record from OMol25 describes C38H50AsClF2N4O7Si3Tl as an isolated structure at a distorted geometry. The level of theory is ωB97M-V with the def2-TZVPD basis set.

Results
* HOMO level (alpha / beta): -3.70 / -3.70 eV
* gap between HOMO and LUMO (alpha / beta): 3.5 / 3.5 eV
* net charge: -1
* energy: -167632.0762 eV

Last column: Löwdin charge in e.
Cartesian coordinates (Å):
1 Tl 0.0550 0.1503 -0.9725  1.232
2 O -2.5504 -1.1212 -6.3016  0.023
3 C -2.6673 0.1818 -6.1400  -0.309
4 C -3.4687 0.9219 -7.0399  -0.025
5 C -3.3200 2.3044 -7.1252  -0.108
6 C -2.5337 3.0011 -6.2047  -0.122
7 C -1.8482 2.2944 -5.2502  -0.046
8 C -1.9781 0.9082 -5.1405  -0.067
9 C -1.0077 0.2490 -4.2194  -0.486
10 O -0.3843 0.8844 -3.3884  -0.092
11 N -0.7949 -1.0571 -4.4778  0.001
12 N 0.3319 -1.5089 -3.9202  0.061
13 C 0.6782 -2.6464 -4.5036  -0.089
14 C 1.8126 -3.3702 -4.0649  -0.123
15 C 2.2484 -4.3965 -4.9539  -0.084
16 C 3.2014 -5.3020 -4.5696  -0.133
17 C 3.6608 -5.2421 -3.2457  -0.151
18 C 3.4070 -4.2685 -2.3825  -0.053
19 C 2.4957 -3.1761 -2.7077  -0.336
20 O 2.2656 -2.2351 -1.8902  -0.101
21 H -1.8308 -1.3400 -5.5402  0.076
22 H -4.2148 0.4473 -7.6838  0.107
23 H -3.8024 2.8042 -7.9525  0.089
24 H -2.4599 4.0743 -6.2569  0.083
25 H -1.1296 2.7740 -4.5555  0.114
26 H 0.1097 -3.0308 -5.3620  0.123
27 H 1.8190 -4.5065 -5.9800  0.115
28 H 3.6490 -5.9842 -5.2493  0.076
29 H 4.2288 -6.0973 -2.8614  0.101
30 H 3.8700 -4.2368 -1.3927  0.101
31 Cl -6.6126 -2.9196 1.9658  0.658
32 C -5.2462 -2.0094 1.5596  -0.728
33 C -4.8334 -0.9505 2.4464  -0.092
34 C -3.7482 -0.1805 2.1460  -0.027
35 C -2.9913 -0.3758 0.9502  -0.377
36 O -2.1053 0.4778 0.6444  -0.151
37 C -3.4036 -1.4900 0.1009  -0.124
38 C -2.7597 -1.8439 -1.1493  -0.151
39 O -1.7250 -1.3525 -1.6730  -0.146
40 C -4.4690 -2.3145 0.4690  -0.093
41 H -5.4864 -0.7994 3.3267  0.106
42 H -3.4636 0.6815 2.7464  0.118
43 H -3.2467 -2.6293 -1.7641  0.136
44 H -4.7038 -3.1908 -0.1248  0.110
45 C 3.6684 -3.7851 3.1276  -0.228
46 Si 2.2601 -2.5742 2.7714  0.308
47 C 0.9624 -2.9270 4.1134  -0.234
48 C 1.4702 -3.1294 1.1451  -0.201
49 As 2.7660 -0.1545 2.7977  0.779
50 Si 5.0844 -0.4496 2.2973  0.303
51 C 5.1812 -1.3787 0.6392  -0.228
52 C 5.9293 1.2321 1.9241  -0.222
53 C 6.0278 -1.1561 3.8272  -0.220
54 Si 2.6369 1.0025 4.8045  0.208
55 C 3.3257 -0.0585 6.1718  -0.244
56 C 3.5397 2.6440 4.6476  -0.213
57 C 0.8150 1.4299 5.0577  -0.224
58 H 3.3947 -4.8344 2.8391  0.049
59 H 3.9842 -3.8019 4.1705  0.020
60 H 4.5183 -3.4602 2.5313  -0.012
61 H 0.8368 -4.0256 4.0198  0.035
62 H 0.0371 -2.4120 3.7387  0.039
63 H 1.2373 -2.6446 5.1066  -0.005
64 H 1.8248 -2.6966 0.2380  -0.031
65 H 0.3711 -3.0012 1.2177  0.038
66 H 1.6967 -4.2160 1.0286  0.048
67 H 4.6385 -0.7893 -0.1370  0.045
68 H 4.8036 -2.3928 0.5821  -0.001
69 H 6.2279 -1.4221 0.2798  0.035
70 H 5.2117 2.0558 1.9648  0.007
71 H 6.3189 1.3114 0.9298  0.009
72 H 6.7192 1.5008 2.6144  0.013
73 H 6.6370 -1.9939 3.4783  0.020
74 H 5.3281 -1.6397 4.4971  -0.012
........
Here's Maiden's Brit Award speech:
More Motorhead dates have been announced over the past few weeks. Lemmy and the boys will be touring through South America before making their way back to Europe for the summer. Check the website for updated show dates! (They just keep on coming!)
Nightwish will be hitting the road soon, starting on March 11 at the Brixton Academy in London, and rumour has it that they will be doing some filming for a DVD at that show…. Speaking of Nightwish and DVD’s, the trailer for their ‘Made in Hong Kong’ DVD was made public earlier this month, and the release date for the DVD is set for March 11 of this year… if you don’t want to wait you could always pre-order it HERE
Great news for Sonata Arctica fans! Rehearsals for their new album started about two weeks ago according to Henka’s blog, in which he hints at a tour coming for the fall of 09, as well as the new album, beyond that not much has been said but check the band’s website for more details.
On a more personal note, I’d like to apologize to all of you for being absent for nearly a month, however it has been beyond my control. It all started with my sound card, and quickly spread around to the rest of the system (sounds like some decease) leading my computer to suffer (yes, suffer :P) a bad case of ‘idunowhatitwas’ and forced me to whipe clean my hard drive not once by twice so far. The problem is NOT a virus, (I’ve taken my sick pc to a few places to have it looked at) but due to the nature of symptoms I suspect it might be that the hardware is starting to kick the bucket bit by bit. For now I have moved Don’t Panic HQ to my laptop, and we’re going to play it by ear until I can either fix my desktop OR get a new machine… wish me luck!
Watch the movie HERE (Excellent!)
STRATOVARIUS IS BACK! Old news (kind of) however yesterday NEW DATES were announced on their website. The band has announced that they will be touring England, Scotland and Ireland to introduce the newest member Matias Kupiainen on guitars. Check the band’s website for dates and venues as the ‘tour’ will only be 5 days long (yes, five, 5, cinco!) and starts on May 15th in Wolverhampton, England.
if you're still trying to place Matias, HERE is an interesting read...oh, and of course, a nice vid too!
........
The following is a DFT calculation (ωB97M-V/def2-TZVPD) of a single C3H6O molecule.

The total energy comes out at -5253.9130 eV. For the HOMO-LUMO gap, the calculation gives 10.4 eV. For the HOMO energy, the calculation gives -9.516 eV. As for the relative energy (zero: lowest compared OMol25 entry of this formula, charge and spin): 171.9 kJ/mol. Its SMILES is C=CCO. As for the lowest unoccupied orbital energy: 0.9 eV.

Each line ends with the Mulliken charge.
Positions of all 10 atoms, in Å:
C  -0.026  -0.204  1.478  -0.610
C  -0.164  -0.807  0.298  -0.271
C  -0.019  0.016  -1.041  -0.265
O  -0.063  1.346  -0.491  -0.483
H  0.221  -0.811  2.397  0.201
H  0.012  0.834  1.727  0.255
H  -0.221  -1.835  0.224  0.363
H  -0.803  -0.370  -1.698  0.250
H  0.945  -0.064  -1.614  0.280
H  0.117  1.895  -1.281  0.280
........
[The text goes on]
This film is going to be unreal! i had the chance to briefly talk with Sam Dunn when The Beast last set hooves in Toronto, on March 16th/08 and he was very excited about the prospect... I can't wait for this one.
Release date is set for April of this year, more info HERE
Thank you for tuning in and don't forget to tune in Wednesday night at 7 for monday's re-run!
*By the way, notice how Adrian and Dave are both using a Destroyer/Explorer kind of guitar, instead of the usual 'Special' Strats, or Adrian's SG and LesPaul(look up the story on that one!)
yeah... at first i was like "yeah kid, you hang out too much with dad" but then I saw THESE OTHER VIDEOS.
Ignoring the fact that his Strat looks like SRV's (havent found the specs to know if its a sig series)...the first thing that came to mind (especially after watching his live vids) is that this kid IS SRV back in the flesh... you tell me for the road! (this one is my all -time fav)
don't forget to tune in Monday night!